Across much of the United States, autumn is marked by a series of chemical changes in leaves, resulting in them changing colors from green to red, orange, yellow, or gold. This change in leaf color combined with their subsequent drop is part of the tree’s ability to survive winter weather (Chaney, 1997).
Depending on the location, leaves can begin to change color as early as September and continue through December. In Ohio, fall colors typically peak between mid- to late October. This fact sheet explains the processes that cause fall leaf-color change in hardwood and softwood trees.
Leaf Pigments
Three main pigment types are found in leaves:
Chlorophyll gives tree leaves their dominant green color and is necessary for photosynthesis (the process through which trees convert sunlight, water, and carbon dioxide into sugar). Chlorophyll is present in leaves year-round.
These pigments produce yellow, orange, and brown colors in leaves. As with chlorophyll, carotenoids are present in leaves year-round (Figures 1 and 2) (Kramer & Kozlowski, 1979).
These pigments produce red and purple colors in leaves. Unlike the other pigments, most anthocyanins are produced in the fall in response to warm sunny days, cool nights, and extra sugars found in the leaves (Figure 3) (USDA Forest Service, n.d.).
Factors Influencing Fall Color Change
As the amount of daylight decreases in the fall, the production of chlorophyll decreases and eventually ceases. This loss of chlorophyll unmasks the carotenoid and anthocyanin pigments, allowing them to briefly dominate before the leaf dies.
~~~
No. 1
HoHBrCl: calculated powder XRD pattern (Cu Kα (weighted mean of Kα1 and Kα2)), based on a PBE-relaxed structure.

Most intense lines, 10 to 90 degrees two-theta, by angle:
d [Å], 2θ (°), intensity
7.424, 11.9, 82
3.712, 24.0, 19
3.375, 26.4, 88
3.264, 27.3, 100
2.710, 33.1, 22
2.475, 36.3, 16
2.328, 38.7, 36
2.158, 41.9, 42
1.971, 46.0, 40
1.865, 48.8, 27
1.741, 52.6, 20
1.542, 60.0, 23

Atomic structure:
```
data_HoHBrCl
_chemical_formula_sum 'Ho2 H2 Br2 Cl2'
_space_group_name_H-M_alt 'C 1 m 1'
_space_group_IT_number 8
_space_group_name_Hall 'C -2y'
_cell_length_a 6.830
_cell_length_b 3.942
_cell_length_c 7.766
_cell_angle_alpha 90.00
_cell_angle_beta 107.06
_cell_angle_gamma 90.00
loop_
_atom_site_label
_atom_site_type_symbol
_atom_site_fract_x
_atom_site_fract_y
_atom_site_fract_z
Ho1 Ho 0.000 0.000 0.000
H1 H 0.157 0.500 0.971
Br1 Br 0.384 0.500 0.656
Cl1 Cl 0.403 0.000 0.208
```

No. 2
Cd2In3Pb4: calculated powder XRD pattern (Cu Kα (weighted mean of Kα1 and Kα2)), based on a PBE-relaxed structure.

Most intense lines, 10 to 90 degrees two-theta, by angle:
d [Å], 2θ (°), intensity
3.037, 29.4, 51
3.014, 29.6, 18
2.719, 32.9, 100
2.710, 33.1, 38
2.578, 34.8, 79
2.434, 36.9, 14
2.022, 44.8, 27
1.754, 52.2, 40
1.596, 57.8, 21
1.519, 61.0, 14
1.473, 63.1, 51
1.128, 86.2, 14

Atomic structure:
```
data_Cd2In3Pb4
_chemical_formula_sum 'Cd2 In3 Pb4'
_space_group_name_H-M_alt 'P 3 m 1'
_space_group_IT_number 156
_space_group_name_Hall 'P 3 -2"'
_cell_length_a 3.5073
_cell_length_b 3.5073
_cell_length_c 24.3887
_cell_angle_alpha 90.00
_cell_angle_beta 90.00
_cell_angle_gamma 120.00
loop_
_atom_site_label
_atom_site_type_symbol
_atom_site_fract_x
_atom_site_fract_y
_atom_site_fract_z
Cd1 Cd 0.0000 0.0000 0.0000
Cd2 Cd 0.0000 0.0000 0.1976
In1 In 0.0000 0.0000 0.7805
In2 In 0.3333 0.6667 0.0982
In3 In 0.3333 0.6667 0.4333
Pb1 Pb 0.0000 0.0000 0.3202
Pb2 Pb 0.0000 0.0000 0.5484
Pb3 Pb 0.3333 0.6667 0.6672
Pb4 Pb 0.3333 0.6667 0.8942
```

No. 3
Ba2SmNpN4: calculated powder XRD pattern (Cu Kα (weighted mean of Kα1 and Kα2)), based on a PBE-relaxed structure.

Most intense lines, 10 to 90 degrees two-theta, by angle:
d [Å], 2θ (°), intensity
6.413, 13.8, 17
3.206, 27.8, 63
2.994, 29.8, 100
2.951, 30.3, 48
2.629, 34.1, 96
2.618, 34.3, 46
1.914, 47.5, 34
1.896, 48.0, 17
1.802, 50.7, 30
1.639, 56.1, 30
1.586, 58.2, 17
1.574, 58.6, 17

Atomic structure:
```
data_Ba2SmNpN4
_chemical_formula_sum 'Ba2 Sm1 Np1 N4'
_space_group_name_H-M_alt 'P 1 2/m 1'
_space_group_IT_number 10
_space_group_name_Hall '-P 2y'
_cell_length_a 6.215
_cell_length_b 3.650
_cell_length_c 6.752
_cell_angle_alpha 90.00
_cell_angle_beta 108.24
_cell_angle_gamma 90.00
loop_
_atom_site_label
_atom_site_type_symbol
_atom_site_fract_x
_atom_site_fract_y
_atom_site_fract_z
Ba1 Ba 0.000 0.000 0.000
Ba2 Ba 0.500 0.500 0.000
Sm1 Sm 0.000 0.500 0.500
Np1 Np 0.500 0.000 0.500
N1 N 0.272 0.000 0.676
N2 N 0.297 0.500 0.321
```

* * * * *
~~~
The timing of color change and colors exhibited by individual tree species is somewhat genetically controlled. Some species, such as sourwood in southern Ohio, will turn bright red late in the summer, while the leaves of many oak species won’t turn color until after many other species have already lost their leaves. Table 1 lists tree species found in Ohio and their typical fall colors (Burns & Honkala, 1990b; USDA Forest Service, n.d.).
Tree Species | Fall Leaf Color |
Sugar maple (Acer saccharum) | Orange or yellow |
Red maple (Acer rubrum) | Red |
Silver maple (Acer saccharinum) | Yellow |
Black maple (Acer nigrum) | Yellow |
Boxelder (Acer negundo) | Yellow |
Northern red oak (Quercus alba) | Red to brown |
White oak (Quercus alba) | Red and purple |
Hickories (Carya spp.) | Golden bronze |
Aspens and cottonwood (Populus spp.) | Purplish red |
Beech (Fagus grandifolia) | Golden bronze |
Dogwood (Cornus spp.) | Purplish red |
Yellow poplar/tulip tree (Liriodendron tulipifera) | Yellow |
Honey locust (Gleditsia triacanthos) | Yellow |
Black cherry (Prunus serotina) | Yellow |
Sweetgum (Liquidambar styraciflua) | Yellow, orange, or red |
Black gum (Nyssa aquatica) | Red |
Green ash (Fraxinus pennsylvanica) | Yellow |
White ash (Fraxinus americana) | Red and purple |
Length of Daylight
Shorter days in late summer and early fall trigger changes in leaves, thus initiating the color change process. Veins that carry water and sugars from the leaves to the tree (and back again) become clogged, trapping some sugars in the leaves. This allows for the production of anthocyanin pigments in some species (Chaney, 1997).
Abscission Layer
Tissues connecting the leaf to the stem allow for water and sugars to pass through the leaf to the tree. When the flow of water and sugars in the fall begins to decline, the tree produces waxes to clog up these connective tissues. The point where this happens is called the abscission layer. The development of the abscission layer signals that the leaf is ready to fall off the tree (Kramer & Kozlowski, 1979).
Why Do Some Leaves Stay on the Tree All Winter?
[Unrelated to this piece: crystal structures]
-- begin --
Computed powder XRD pattern of AcTbGdMg for CuKα, from DFT lattice parameters and positions (GGA-PBE).
Intensities are scaled so that the largest is 100.

Top 10 peaks for 10 to 90 degrees two-theta, sorted by position:
2θ = 19.0°, I = 27; 2θ = 31.3°, I = 100; 2θ = 36.9°, I = 16; 2θ = 44.9°, I = 19; 2θ = 49.1°, I = 7; 2θ = 55.7°, I = 40; 2θ = 59.4°, I = 6; 2θ = 65.3°, I = 12; 2θ = 68.7°, I = 5; 2θ = 74.2°, I = 17

Crystal structure
Cell lengths 5.7146, 5.7146, 5.7146 Å; angles 60.00, 60.00, 60.00 degrees
Fractional positions:
Ac: 0.0000 0.0000 0.0000
Tb: 0.7500 0.7500 0.7500
Gd: 0.2500 0.2500 0.2500
Mg: 0.5000 0.5000 0.5000

=====

No. 1
Simulated powder diffraction line list of TmNb4N6 for copper Kα, from a DFT-relaxed cell (PBE, Alexandria).
Neutral-atom scattering factors, no anomalous dispersion.

Atomic structure:
```
TmNb4N6
1.0
1.564 -5.148 0.000
1.564 5.148 0.000
0.000 0.000 15.716
Tm Nb N
2 8 12
Direct
0.154 0.846 0.750 Tm
0.846 0.154 0.250 Tm
0.101 0.899 0.132 Nb
0.101 0.899 0.368 Nb
0.354 0.646 0.042 Nb
0.354 0.646 0.458 Nb
0.646 0.354 0.542 Nb
0.646 0.354 0.958 Nb
0.899 0.101 0.632 Nb
0.899 0.101 0.868 Nb
0.000 0.000 0.000 N
0.000 0.000 0.500 N
0.177 0.823 0.250 N
0.265 0.735 0.594 N
0.265 0.735 0.906 N
0.461 0.539 0.161 N
0.461 0.539 0.339 N
0.539 0.461 0.661 N
0.539 0.461 0.839 N
0.735 0.265 0.094 N
0.735 0.265 0.406 N
0.823 0.177 0.750 N
```

Largest 8 diffraction maxima, low angle first, 10° ≤ 2θ ≤ 90°:
d_spacing  2theta  I_rel
2.797  32.00  374
2.683  33.40  1000
2.598  34.52  649
2.574  34.85  321
2.218  40.68  685
2.115  42.75  241
1.572  58.72  220
1.351  69.59  237

***

No. 2
Simulated powder diffraction line list of CrCuOs for copper Kα, from a DFT-relaxed cell (PBE, Alexandria).
Neutral-atom scattering factors, no anomalous dispersion.

Atomic structure:
```
CrCuOs
1.0
2.648 0.000 0.000
0.000 3.729 0.000
0.000 0.000 7.739
Cr Cu Os
2 2 2
Direct
0.000 0.000 0.000 Cr
0.500 0.500 0.500 Cr
0.000 0.000 0.668 Cu
0.500 0.500 0.168 Cu
0.000 0.000 0.336 Os
0.500 0.500 0.836 Os
```

Largest 8 diffraction maxima, low angle first, 10° ≤ 2θ ≤ 90°:
d_spacing  2theta  I_rel
3.870  22.98  383
3.359  26.53  538
2.506  35.84  253
2.159  41.84  1000
2.122  42.62  948
1.864  48.85  316
1.848  49.31  614
1.312  71.94  384

***

No. 3
Simulated powder diffraction line list of PrAlF for copper Kα, from a DFT-relaxed cell (PBE, Alexandria).
Neutral-atom scattering factors, no anomalous dispersion.

Atomic structure:
```
PrAlF
1.0
3.430 0.000 0.000
0.000 3.430 0.000
0.000 0.000 9.636
Pr Al F
2 2 2
Direct
0.250 0.250 0.194 Pr
0.750 0.750 0.806 Pr
0.250 0.250 0.573 Al
0.750 0.750 0.427 Al
0.250 0.250 0.930 F
0.750 0.750 0.070 F
```

Largest 8 diffraction maxima, low angle first, 10° ≤ 2θ ≤ 90°:
d_spacing  2theta  I_rel
4.818  18.41  316
3.231  27.60  1000
3.212  27.77  296
2.794  32.03  511
2.425  37.07  644
2.345  38.39  442
1.971  46.04  343
1.514  61.21  350

***

No. 4
-- stop --
[End of the crystal structures]
Certain species of trees retain some of their leaves throughout the winter. Members of the beech family (beech and oak) are the most common Ohio species exhibiting this trait. Such trees are said to be marcescent. The leaves remain on the trees due to the abscission layer not completely forming between the leaf and branch it is attached to (Kramer & Kozlowski, 1979). This is commonly seen in Ohio with beech trees in the understory showing their golden-bronze-colored leaves all winter (Figure 4). New leaf buds growing in the spring force the marcescent leaves off the tree.
How Does Weather Affect Fall Colors?
Since anthocyanins are produced in the fall, weather conditions directly impact the degree of these pigments’ development. Fall weather doesn’t have much of an impact on carotenoids, which are present in the leaves all season long.
Fall weather conditions that favor more vibrant red leaf colors are warm sunny days followed by cool nights. Freezing nighttime temperatures reduce the intensity of red and purple fall colors. Rainy or cloudy days near the time of peak color will also reduce the intensity of red and purple fall colors. Favorable weather during the growing season supports leaf development and will in turn increase the production of carotenoid pigments within the leaves. Soil moisture also plays a part in fall leaf-color changes and varies greatly not only within the year but also between years as well. In general, warm spring weather with plenty of rainfall combined with warm sunny days and cool nights in the fall should provide the most vivid fall colors.
Why Do Most Conifer Needles Not Change Color Like Hardwood Leaves?
Hardwood leaves change color and eventually fall off Ohio’s trees every autumn. But why don’t evergreens, such as pine and spruce, lose their needles the same way? We can see that some needles die and fall off the trees each year as they collect under the trees and persist for fairly long periods of time. This may restrict grass growth. Yet this needle drop happens at different times of the year according to species.
Pigments in Conifer Needles
The needles of most Ohio conifers are missing two of the three main pigment types found in hardwood leaves. The needles contain chlorophyll but are missing carotenoids and anthocyanins. When the needles die, they simply turn from green to brown due to the breakdown of chlorophyll within the needles and then eventually drop to the ground under the canopy.
Needle Age and Genetic Control of Needle Drop
Conifer needles age, but unlike hardwood leaves, they do not all die and fall off every year. As the needles age, they become less efficient at producing sugars for the tree through photosynthesis. In addition, over time, older needles become shaded by new limbs and needles, further reducing their ability to photosynthesize. As these older needles die, they turn from green to brown and eventually fall off the tree. As healthy conifer trees grow, newer needles are found at the end of branches, while older needles remain on the interior of branches and the crown for a period of time according to the species (Figure 5).
The length of time needles remain alive on trees varies by species. Table 2 lists the life span of needles of coniferous evergreen tree species found in Ohio (Burns & Honkala, 1990a).
Tree species | Needle lifespan |
Eastern white pine (Pinus strobus) | 2–3 years |
Pitch pine (Pinus rigida) | 2–3 years |
Scots pine (Pinus sylvestris) | 3 years |
Austrian pine (Pinus nigra) | 3 years |
Red pine (Pinus resinosa) | 4 years |
Shortleaf pine (Pinus echinata) | 2–4 years |
Virginia pine (Pinus virginiana) | 3–4 years |
Norway spruce (Picea abies) | 6–10 years |
Eastern hemlock (Tsuga canadensis) | 3–4 years |
Blue spruce (Picea pungens) | 2–5 years |
White spruce (Picea glauca) | 2–5 years |
Northern white cedar (Thuja occidentalis) | 2–4 years |
Eastern red cedar (Juniperus virginiana) | 2–4 years |
Eastern hemlock (Tsuga canadensis) | 3–4 years |
Yew (Taxus spp.) | 3 years |
Deciduous Conifers are Exceptions
Eastern larch (Larix laricina) is a native deciduous conifer found on poorly drained sites, primarily in northeast Ohio. A member of the pine (Pinaceae) family, eastern larch needles change color from green to gold in the fall and drop every year like the leaves of deciduous hardwoods (maple, oak, etc.) This needle-drop habit of eastern larch is believed to be an adaptation to growing on poor sites and aids in water and nutrient retention in the tree. As with deciduous hardwood leaves, new needles are grown every spring.
Other deciduous conifers commonly found in Ohio include dawn redwood (Metasequoia glyptostroboides) and bald cypress (Taxodium distichum). The needles of both trees turn orange, red, or brown in the fall. As with deciduous hardwoods, new needles appear every spring on a healthy tree.
What Happens to the Leaves and Needles That Fall to the Ground?
Leaves that fall to the ground may be eaten by arthropods, such as earthworms and insects, or decomposed by fungi and bacteria in the soil. These processes add organic matter to the soil and recycle nutrients so they can be utilized by soil organisms and taken back up by the trees.
Conifer needles, unlike hardwood leaves, are resinous and have a waxy coating while they’re on the tree that helps protect them during cold and dry weather. Once they’ve fallen from the tree, these resins and waxes make the needles more resistant to decomposition. It can take many years for conifer needles to decompose. These needles can be left in place to decompose, raked up to be used for landscaping mulch, or simply be removed from the site.
A common myth is that conifer trees and the needles they drop make the soil more acidic. It is true that soils commonly found under conifer trees are acidic. But that acidity is not caused by the tree. The tree is growing there because the soils are acidic. As conifer needles on the ground decompose, the microorganisms breaking them down neutralize their natural acidity.
Burns, R. M., & Honkala, B. H. (1990a). Silvics of North America. Volume 1: Conifers. USDA Forest Service. Agriculture Handbook 654. Retrieved from
Burns, R. M., & Honkala, B. H. (1990b). Silvics of North America. Volume 2: Conifers. USDA Forest Service. Agriculture Handbook 654. Retrieved from
Chaney, W. R. (1997). Why do leaves change color - the physiological basis. Purdue University Extension publication FNR-FAQ-5. Retrieved from
Kramer, P. J., & Kozlowski, T. T. (1979). Physiology of woody plants (1st ed.). Academic Press.
United States Department of Agriculture (USDA) Forest Service. (n.d.). Science of Fall Colors. Retrieved from